Jones Hay Company

When Quality Matters! When Quality Matters!

Jones Hay Company


1056 Highway 131

Thorn Hill, Tennessee  37881


We Put The "Pro" in Protein We Put The "Pro" in Protein

Jones Hay Company

[Calculated molecules from another source follow]
'''
(1)
120
Properties=species:S:1:pos:R:3 method="wB97M-V/def2-TZVPD" mol_weight_g_mol=868.8 gap_ev=8.7 fmax_ha_per_bohr=0.0171 total_charge=+1
C -0.669 5.792 2.105
C 0.084 4.458 2.091
N -0.673 3.453 2.850
C -0.966 2.228 2.494
N -1.707 1.419 3.357
N -0.525 1.673 1.330
C -1.524 1.323 0.293
C -1.053 0.204 -0.640
C 0.408 0.299 -1.108
C 1.495 -0.235 -0.156
C 1.232 -1.614 0.461
C 2.137 -1.837 1.677
C 1.651 -1.039 2.913
C 1.690 -1.843 4.215
C 0.551 -2.869 4.301
C -0.766 -2.242 4.798
O -1.926 -2.677 4.116
C -2.026 -2.236 2.783
H 0.047 6.616 2.089
H -1.305 5.886 1.222
H -1.271 5.892 3.010
H 1.062 4.571 2.566
H 0.204 4.095 1.069
H -1.004 3.755 3.764
H -1.650 1.765 4.307
H -2.686 1.347 3.107
H 0.284 2.157 0.965
H -2.430 0.996 0.818
H -1.805 2.217 -0.280
H -1.291 -0.770 -0.207
H -1.673 0.299 -1.542
H 0.629 1.360 -1.315
H 0.484 -0.223 -2.063
H 1.727 0.488 0.637
H 2.417 -0.321 -0.747
H 0.193 -1.712 0.791
H 1.439 -2.378 -0.299
H 3.144 -1.489 1.421
H 2.172 -2.903 1.927
H 2.278 -0.146 3.040
H 0.629 -0.662 2.735
H 1.616 -1.154 5.069
H 2.659 -2.346 4.306
H 0.846 -3.668 4.992
H 0.367 -3.339 3.325
H -0.931 -2.492 5.852
H -0.688 -1.140 4.738
H -1.475 -1.296 2.622
H -1.639 -2.985 2.075
H -3.086 -2.064 2.561
C -3.282 7.968 5.404
N -2.680 8.057 4.045
O -1.489 8.267 3.965
O -3.424 7.903 3.102
H -2.496 8.124 6.133
H -4.049 8.735 5.466
H -3.727 6.982 5.489
C 0.407 -2.553 -5.789
N 0.232 -1.958 -4.440
O 0.553 -0.799 -4.285
O -0.210 -2.668 -3.559
H 0.832 -1.796 -6.435
H 1.078 -3.400 -5.675
H -0.566 -2.889 -6.136
C -3.499 2.755 7.032
N -2.337 3.524 6.506
O -2.373 3.883 5.329
O -1.421 3.752 7.247
H -4.230 2.631 6.246
H -3.113 1.798 7.374
H -3.900 3.315 7.872
C 0.738 -6.763 -3.808
N 1.792 -5.980 -4.510
O 1.748 -5.925 -5.719
O 2.622 -5.433 -3.816
H 0.075 -7.183 -4.554
H 1.241 -7.535 -3.232
H 0.220 -6.076 -3.146
C 0.610 -1.219 -10.035
N 0.190 -2.325 -9.132
O -0.990 -2.447 -8.884
O 1.070 -3.031 -8.685
H -0.277 -0.680 -10.345
H 1.294 -0.590 -9.473
H 1.124 -1.672 -10.877
C 3.084 1.253 -3.797
N 3.599 1.183 -5.194
O 4.725 1.569 -5.404
O 2.842 0.740 -6.033
H 3.865 1.661 -3.166
H 2.198 1.881 -3.815
H 2.816 0.242 -3.504
C -8.257 2.825 5.991
N -7.202 2.124 6.773
O -6.184 1.784 6.192
O -7.417 1.931 7.943
H -7.918 2.919 4.967
H -9.159 2.224 6.064
H -8.413 3.791 6.460
C -3.640 -1.792 -2.406
N -5.012 -2.356 -2.533
O -5.219 -3.155 -3.414
O -5.828 -1.963 -1.727
H -3.010 -2.221 -3.177
H -3.729 -0.715 -2.515
H -3.282 -2.047 -1.414
C 5.018 -2.051 -1.966
N 5.211 -0.760 -1.253
O 5.506 0.216 -1.909
O 5.051 -0.762 -0.050
H 5.193 -1.888 -3.021
H 5.730 -2.760 -1.558
H 3.998 -2.378 -1.774
C 8.574 -2.852 -5.319
N 7.607 -3.142 -4.225
O 7.832 -2.680 -3.126
O 6.643 -3.820 -4.504
H 9.368 -2.238 -4.913
H 8.942 -3.807 -5.681
H 8.024 -2.340 -6.102



(2)
121
Properties=species:S:1:pos:R:3 method="wB97M-V/def2-TZVPD" mol_weight_g_mol=1020.5 relative_energy_ev=7.491 gap_ev=3.5 fmax_ha_per_bohr=0.0970
O 3.472 -1.524 4.191
V 3.029 -0.070 3.789
O 3.918 1.021 4.583
O -0.728 1.416 -0.528
C 0.046 1.011 0.442
'''

1056 Highway 131

Thorn Hill, Tennessee  37881


About Us

David Jones is an East Tennessee farmer, with a lifetime of experience in hay production. He also has a lifetime of knowledgeable experience in feeding and caring for horses and beef cattle. David understands the health Issues that can occur if animals are not properly fed the correct balanced forage and ration intake. This is why he always has Forage and Ration testing done through the University of Tennessee or Dairy One, as this is very critical to the health, production and well being of the animal. David conducts soil testing each year so he knows the appropriate amount of fertilizer and lime analysis to use. He spring cuts hay each May and early June, at the peak of quality, with the second cutting in August. David does not tolerate, mold, weeds, sage grass or johnson grass. His hay is weed free with very little moisture as the testing states. David takes a lot of pride in his products and this is why it comes with a Quality Customer Satisfaction, Money Back Guarantee. Jones Hay Company grows timothy, fescue and orchard grass mix, with custom cut square baling and round baling made to order. David uses New Holland and John Deere balers to make tightly packaged bales and processes approximately 200 acres each year and sell hay year round. During the spring when the hay crop is plentiful, some hay is round baled and immediately transferred from the field to barns to be stored in the dry. Round bales are available for purchase and some round bales will be reprocessed to square bales as customer demand dictates.


Jones Hay Company uses New Holland and John Deere equipment in the processing of their hay. A large New Holland baler produces consistent bales, and a hay processor allows hay from round bales to be reprocessed into square bales. Large John Deere tractors are used to operate hay equipment.

'''
1.
# C10H21F2NO6Si2

C10H21F2NO6Si2 as an isolated structure (wB97M-V/def2-TZVPD, the Open Molecules 2025 dataset).

Results
Kohn-Sham gap (Eh): 0.4087
E_LUMO (eV): 0.5914

Each line ends with the Löwdin charge.
Atoms and positions in Å:
C  2.7526  -3.1201  2.6104  -0.079
C  2.7778  -1.7078  2.0567  -0.435
C  3.6781  -1.6272  0.8429  -0.081
C  1.3463  -1.3558  1.5878  -0.269
C  0.9028  0.0654  2.0191  -0.299
Si  -0.4176  0.7240  0.8383  0.571
O  -1.9636  0.8477  1.5032  -0.391
Si  -2.6067  -0.5054  2.1770  0.566
N  -3.6146  -1.3856  0.9668  0.033
C  -4.9076  -1.6916  1.5028  -0.572
O  -5.9240  -1.2065  1.1044  0.195
F  -4.8850  -2.5527  2.4975  0.157
C  -3.0659  -2.5947  0.4727  -0.558
O  -3.6240  -3.2975  -0.3131  0.185
F  -1.8619  -2.9089  0.9132  0.116
H  3.7332  -3.5669  2.6560  0.073
H  2.3243  -3.1300  3.6020  0.076
H  2.1028  -3.7285  2.0029  0.076
H  3.0426  -0.9741  2.8032  0.124
H  3.5907  -0.6435  0.4025  0.077
H  4.7192  -1.7732  1.0917  0.075
H  3.3633  -2.3552  0.1132  0.082
H  1.2499  -1.4607  0.5181  0.080
H  0.6528  -2.0384  2.0577  0.080
H  0.5570  -0.0169  3.0383  0.066
H  1.7388  0.7525  1.9831  0.067
H  -0.4745  -0.1636  -0.3464  -0.003
H  0.0424  2.0359  0.3405  -0.027
H  -1.5920  -1.3456  2.8162  0.008
H  -3.5458  -0.0539  3.2181  0.012
C  0.3769  5.1195  -2.4226  -0.039
O  -0.0817  4.7126  -3.7124  0.008
C  -0.0080  3.4022  -3.9271  -0.633
O  0.3980  2.5831  -3.1489  0.117
O  -0.4628  3.1574  -5.1521  0.008
C  -0.4424  1.7770  -5.5186  -0.039
H  0.2636  6.1984  -2.3791  0.093
H  -0.2250  4.6635  -1.6390  0.093
H  1.4258  4.8630  -2.2889  0.097
H  -1.0756  1.1933  -4.8536  0.098
H  0.5746  1.3907  -5.5054  0.097
H  -0.8348  1.7184  -6.5291  0.093

---

2.
# O4PRb4

O4PRb4 as an isolated structure (wB97M-V/def2-TZVPD, the Open Molecules 2025 dataset).

Results
Total charge: +1
Kohn-Sham gap (Eh): 0.1826
E_LUMO (eV): -3.6040
Energy above the lowest of the compared OMol25 structures with the same formula, charge and spin (kcal/mol): 20.29

Each line ends with the Löwdin charge.
Atoms and positions in Å:
Rb  1.7644  2.2479  0.4280  0.948
Rb  2.0138  -1.4113  2.3041  0.930
Rb  -0.3902  2.5009  -2.9586  0.989
Rb  -1.4537  -2.9813  1.9264  0.953
P  -0.3887  -0.0933  -0.3472  -0.250
O  -0.0285  0.1818  1.1865  -0.766
O  -1.2076  -1.3743  -0.3764  -0.560
O  0.9498  -0.0741  -1.1629  -0.592
O  -1.2592  1.0037  -0.9998  -0.651

---

3.
# C6H5ClNO3P

A 2-piece molecular cluster, C6H5ClNO3P overall (wB97M-V/def2-TZVPD, the Open Molecules 2025 dataset).

Results
Kohn-Sham gap (alpha / beta) (Eh): 0.2299 / 0.2299
E_LUMO (alpha / beta) (eV): -3.1173 / -3.1179
Energy above the lowest of the compared OMol25 structures with the same formula, charge and spin (kcal/mol): 0.00

Each line ends with the Löwdin charge.
Atoms and positions in Å:
C  1.1974  0.0525  -0.0063  -0.124
C  0.4213  0.0440  -1.1358  -0.085
C  0.6124  0.1276  1.2444  -0.100
C  -1.0000  0.2568  -1.0844  -0.092
C  -0.7405  0.1520  1.3621  -0.078
'''

During the spring when the hay crop is plentiful, some hay is round baled and immediately transferred from the field to barns to be stored in the dry. Round bales are available for purchase and some round bales will be reprocessed to square bales as customer demand dictates.

Jones Hay Company

David Jones - owner

Misplaced records of molecules.
........
{
  "formula": "C10H16",
  "method": "ωB97M-V/def2-TZVPD",
  "charge": 1,
  "lumo_ev": [-4.63, -8.38],
  "max_force_ev_per_a": 6.61,
  "e_homo_ev": [-13.69, -13.69],
  "multiplicity": 2,
  "gap_ev": [9.07, 5.31],
  "species": ["C", "C", "C", "H", "H", "H", "H", "H", "H", "H", "H", "C", "C", "C", "C", "C", "C", "C", "H", "H", "H", "H", "H", "H", "H", "H"],
  "positions_angstrom": [[-1.64355, 2.29509, -0.77737], [-1.43559, 0.88721, -1.61625], [-1.63003, 2.04403, 0.79845], [-2.51708, 2.79225, -0.99761], [-0.75110, 2.83321, -1.06635], [-2.53732, 0.68694, -1.83631], [-0.90742, 0.97889, -2.53646], [-1.29580, 1.00463, 0.98117], [-2.59801, 2.02666, 1.39181], [-0.85283, 0.14313, -1.04762], [-0.80958, 2.57958, 1.18275], [2.65763, 0.31324, 1.09223], [-0.25478, -2.80789, -0.22152], [-0.47367, -2.02359, 0.87674], [0.90998, -2.48081, -1.03312], [0.38525, -0.99412, 1.21385], [1.86802, -1.56007, -0.55246], [1.69515, -0.80447, 0.61253], [-1.17584, -3.29020, -0.58634], [-1.38924, -2.16614, 1.56354], [1.08507, -2.81428, -2.02514], [0.17671, -0.30297, 2.01074], [2.69569, -1.15230, -1.05428], [2.83970, 1.01945, 0.45584], [3.63294, 0.03743, 1.14859], [2.32571, 0.75510, 2.02263]]
}


{
  "formula": "C2H10N6O",
  "method": "ωB97M-V/def2-TZVPD",
  "charge": 2,
  "lumo_ev": -7.80,
  "max_force_ev_per_a": 4.90,
  "e_homo_ev": -16.99,
  "gap_ev": 9.18,
  "species": ["C", "C", "N", "N", "N", "N", "N", "N", "O", "H", "H", "H", "H", "H", "H", "H", "H", "H", "H"],
  "positions_angstrom": [[-1.76554, 0.68142, 0.23233], [3.02192, -0.18495, -0.36310], [-1.82576, 1.86947, -0.04620], [-2.68645, 0.15167, 1.23973], [3.81203, -1.14016, -0.38587], [2.58933, 0.89368, -0.27462], [-0.91171, -0.31997, -0.29164], [-1.38983, -1.65259, -0.26560], [1.60224, 1.74044, -0.10729], [-1.12976, 2.23153, -0.72334], [-3.48334, -0.51708, 1.03078], [-3.18340, 0.98787, 1.70128], [4.73478, -0.89277, 0.08991], [3.71503, -2.05060, -0.94866], [-0.31685, -0.00821, -1.14547], [-0.62284, -2.33950, -0.17433], [-2.02412, -1.82667, -1.12586], [-2.12927, -0.30915, 2.01415], [1.99356, 2.68559, -0.45620]]
}


{
  "formula": "C16H13NO3S2",
  "method": "ωB97M-V/def2-TZVPD",
  "lumo_ev": -0.50,
  "max_force_ev_per_a": 18.77,
  "e_homo_ev": -8.55,
  "smiles": "O=C(CCC(=O)c1cccs1)OCc1nc2ccccc2s1",
  "gap_ev": 8.04,
  "species": ["O", "C", "C", "C", "C", "O", "C", "C", "C", "C", "S", "O", "C", "C", "N", "C", "C", "C", "C", "C", "C", "S", "H", "H", "H", "H", "H", "H", "H", "H", "H", "H", "H", "H", "H"],
........

1056 Highway 131

Thorn Hill, Tennessee  37881

423 754-3681 (cell)

Open daily except Sunday


Copyright Jones Hay Company - All rights reserved